+++
1.
# C12H17BMnN6O2

A structure of composition C12H17BMnN6O2 (ωB97M-V/def2-TZVPD, OMol25).

```
! wB97M-V def2-TZVPD RIJCOSX def2/J DEFGRID3
* xyz 2 6
C 2.748 -0.433 0.413
N 1.475 -0.386 -0.038
N 1.537 -0.187 -1.410
C 2.824 -0.161 -1.800
C 3.624 -0.296 -0.671
B 0.249 -0.063 -2.280
N -0.702 -1.220 -1.890
N -1.006 -1.549 -0.571
C -1.863 -2.603 -0.617
C -2.062 -2.976 -1.955
C -1.305 -2.097 -2.714
Mn -0.250 -0.800 1.166
N -0.426 1.318 -1.980
N -0.813 1.520 -0.699
C -1.295 2.744 -0.590
C -1.255 3.363 -1.848
C -0.691 2.423 -2.713
H -1.641 3.128 0.368
H -0.465 2.445 -3.763
H -1.592 4.363 -2.083
H 0.529 -0.121 -3.438
H -1.143 -2.023 -3.779
H 3.074 -0.064 -2.848
H -2.680 -3.781 -2.312
H 4.695 -0.301 -0.624
H -2.291 -3.031 0.281
H 2.965 -0.571 1.461
H -2.271 -0.265 1.750
C -1.974 -1.217 2.209
H -2.708 -1.939 1.868
H -0.959 -1.773 2.139
H -2.037 -1.014 3.279
C 1.372 1.475 4.141
C 0.757 0.599 3.083
O 1.102 -0.641 2.989
O -0.106 1.095 2.267
H 1.194 1.031 5.122
H 0.936 2.471 4.099
H 2.452 1.536 3.989
*
```

## Properties
HOMO level (spin up / spin down): -15.8 / -15.8 eV
Calculated total energy: -57735.191 eV
Kohn-Sham gap (spin up / spin down): 6.052 / 5.137 eV
M: 343.06 u

---

2.
# C24H34GeN2O4RhSe3

A structure of composition C24H34GeN2O4RhSe3 (ωB97M-V/def2-TZVPD, OMol25).

```
! wB97M-V def2-TZVPD RIJCOSX def2/J DEFGRID3
* xyz -1 1
Rh -0.538 -0.582 0.300
O -0.714 -0.903 2.423
C -1.900 -0.885 2.929
C -2.310 -1.925 3.796
C -3.528 -1.906 4.432
C -4.420 -0.855 4.214
C -4.087 0.139 3.328
C -2.853 0.163 2.657
C -2.617 1.167 1.688
N -1.557 1.232 0.913
N -1.451 2.256 0.060
C -0.715 2.035 -1.005
O -0.248 0.889 -1.333
C -0.433 3.192 -1.876
C -1.404 4.166 -2.100
C -1.163 5.201 -2.985
C 0.058 5.287 -3.640
C 1.045 4.347 -3.382
C 0.799 3.300 -2.515
H -1.615 -2.735 3.974
H -3.805 -2.719 5.092
H -5.373 -0.847 4.725
H -4.791 0.931 3.108
H -3.412 1.896 1.513
H -2.351 4.080 -1.591
H -1.929 5.945 -3.165
H 0.245 6.089 -4.343
H 2.014 4.431 -3.856
H 1.557 2.556 -2.318
O -2.985 -4.343 -2.450
C -1.759 -4.199 -1.783
C -1.898 -4.228 -0.246
C -2.439 -5.629 0.121
O -2.781 -5.793 1.475
C -2.930 -3.204 0.237
Se -2.874 -1.421 -0.618
C -0.540 -4.034 0.441
Se 0.684 -2.620 -0.236
H -3.480 -3.525 -2.304
H -1.267 -3.260 -2.077
H -1.132 -5.035 -2.108
H -1.695 -6.389 -0.170
H -3.358 -5.816 -0.443
H -2.044 -5.484 2.013
H -2.836 -3.031 1.311
H -3.940 -3.574 0.047
H 0.046 -4.955 0.362
H -0.673 -3.784 1.499
C 6.720 1.474 -1.046
Ge 4.717 1.593 -0.964
C 4.246 3.505 -0.697
C 3.929 0.777 -2.589
C 3.904 0.605 0.562
Se 1.959 1.000 0.460
C 1.697 1.707 2.259
H 7.074 2.061 -1.890
H 7.053 0.449 -1.182
H 7.180 1.870 -0.144
H 4.383 4.094 -1.598
H 4.856 3.941 0.091
H 3.204 3.568 -0.401
H 3.927 1.441 -3.449
H 2.902 0.499 -2.364
H 4.463 -0.129 -2.863
H 4.275 0.908 1.536
H 4.018 -0.471 0.456
H 2.282 2.619 2.393
H 1.977 0.947 2.985
H 0.633 1.921 2.336
*
```

## Properties
HOMO level (spin up / spin down): -4.4 / -4.4 eV
Calculated total energy: -292174.319 eV
Kohn-Sham gap (spin up / spin down): 6.350 / 6.349 eV
M: 826.94 u
ΔE to the lowest compared entry with this formula, charge and spin: 2.4207 eV

---

3.
# C7H6BrFOS

A cluster of 2 separate species, C7H6BrFOS in total (ωB97M-V/def2-TZVPD, OMol25).

```
! wB97M-V def2-TZVPD RIJCOSX def2/J DEFGRID3
* xyz 0 1
C -0.726 -0.192 -1.483
C -1.614 0.167 -0.468
C 0.593 -0.538 -1.290
C -1.067 0.262 0.781
C 1.134 -0.450 0.003
C 0.279 -0.039 1.109
C 1.592 2.026 2.422
O 0.721 0.001 2.296
F 2.685 1.652 3.048
S 0.551 2.906 3.623
Br 1.726 2.556 0.694
H -1.305 -0.417 -2.458
H -2.638 0.297 -0.724
H 1.214 -0.796 -2.130
H -1.509 0.842 1.607
H 2.096 -0.820 0.294
H -0.240 3.468 2.631
*
```

## Properties
HOMO level (spin up / spin down): -7.8 / -7.8 eV
Calculated total energy: -92995.348 eV
Kohn-Sham gap (spin up / spin down): 6.696 / 6.638 eV
M: 237.09 u
ΔE to the lowest compared entry with this formula, charge and spin: 0.3003 eV

=====

# 1
# BaH14O7

A molecular structure, BaH14O7 (ωB97M-V/def2-TZVPD, the Open Molecules 2025 dataset).

Geometry as XYZ:
```
+++

Your job: restate the calculation results further above from the first line to the one with "Geometry as" word for word.

1.
# C12H17BMnN6O2

A structure of composition C12H17BMnN6O2 (ωB97M-V/def2-TZVPD, OMol25).

```
! wB97M-V def2-TZVPD RIJCOSX def2/J DEFGRID3
* xyz 2 6
C 2.748 -0.433 0.413
N 1.475 -0.386 -0.038
N 1.537 -0.187 -1.410
C 2.824 -0.161 -1.800
C 3.624 -0.296 -0.671
B 0.249 -0.063 -2.280
N -0.702 -1.220 -1.890
N -1.006 -1.549 -0.571
C -1.863 -2.603 -0.617
C -2.062 -2.976 -1.955
C -1.305 -2.097 -2.714
Mn -0.250 -0.800 1.166
N -0.426 1.318 -1.980
N -0.813 1.520 -0.699
C -1.295 2.744 -0.590
C -1.255 3.363 -1.848
C -0.691 2.423 -2.713
H -1.641 3.128 0.368
H -0.465 2.445 -3.763
H -1.592 4.363 -2.083
H 0.529 -0.121 -3.438
H -1.143 -2.023 -3.779
H 3.074 -0.064 -2.848
H -2.680 -3.781 -2.312
H 4.695 -0.301 -0.624
H -2.291 -3.031 0.281
H 2.965 -0.571 1.461
H -2.271 -0.265 1.750
C -1.974 -1.217 2.209
H -2.708 -1.939 1.868
H -0.959 -1.773 2.139
H -2.037 -1.014 3.279
C 1.372 1.475 4.141
C 0.757 0.599 3.083
O 1.102 -0.641 2.989
O -0.106 1.095 2.267
H 1.194 1.031 5.122
H 0.936 2.471 4.099
H 2.452 1.536 3.989
*
```

## Properties
HOMO level (spin up / spin down): -15.8 / -15.8 eV
Calculated total energy: -57735.191 eV
Kohn-Sham gap (spin up / spin down): 6.052 / 5.137 eV
M: 343.06 u

---

2.
# C24H34GeN2O4RhSe3

A structure of composition C24H34GeN2O4RhSe3 (ωB97M-V/def2-TZVPD, OMol25).

```
! wB97M-V def2-TZVPD RIJCOSX def2/J DEFGRID3
* xyz -1 1
Rh -0.538 -0.582 0.300
O -0.714 -0.903 2.423
C -1.900 -0.885 2.929
C -2.310 -1.925 3.796
C -3.528 -1.906 4.432
C -4.420 -0.855 4.214
C -4.087 0.139 3.328
C -2.853 0.163 2.657
C -2.617 1.167 1.688
N -1.557 1.232 0.913
N -1.451 2.256 0.060
C -0.715 2.035 -1.005
O -0.248 0.889 -1.333
C -0.433 3.192 -1.876
C -1.404 4.166 -2.100
C -1.163 5.201 -2.985
C 0.058 5.287 -3.640
C 1.045 4.347 -3.382
C 0.799 3.300 -2.515
H -1.615 -2.735 3.974
H -3.805 -2.719 5.092
H -5.373 -0.847 4.725
H -4.791 0.931 3.108
H -3.412 1.896 1.513
H -2.351 4.080 -1.591
H -1.929 5.945 -3.165
H 0.245 6.089 -4.343
H 2.014 4.431 -3.856
H 1.557 2.556 -2.318
O -2.985 -4.343 -2.450
C -1.759 -4.199 -1.783
C -1.898 -4.228 -0.246
C -2.439 -5.629 0.121
O -2.781 -5.793 1.475
C -2.930 -3.204 0.237
Se -2.874 -1.421 -0.618
C -0.540 -4.034 0.441
Se 0.684 -2.620 -0.236
H -3.480 -3.525 -2.304
H -1.267 -3.260 -2.077
H -1.132 -5.035 -2.108
H -1.695 -6.389 -0.170
H -3.358 -5.816 -0.443
H -2.044 -5.484 2.013
H -2.836 -3.031 1.311
H -3.940 -3.574 0.047
H 0.046 -4.955 0.362
H -0.673 -3.784 1.499
C 6.720 1.474 -1.046
Ge 4.717 1.593 -0.964
C 4.246 3.505 -0.697
C 3.929 0.777 -2.589
C 3.904 0.605 0.562
Se 1.959 1.000 0.460
C 1.697 1.707 2.259
H 7.074 2.061 -1.890
H 7.053 0.449 -1.182
H 7.180 1.870 -0.144
H 4.383 4.094 -1.598
H 4.856 3.941 0.091
H 3.204 3.568 -0.401
H 3.927 1.441 -3.449
H 2.902 0.499 -2.364
H 4.463 -0.129 -2.863
H 4.275 0.908 1.536
H 4.018 -0.471 0.456
H 2.282 2.619 2.393
H 1.977 0.947 2.985
H 0.633 1.921 2.336
*
```

## Properties
HOMO level (spin up / spin down): -4.4 / -4.4 eV
Calculated total energy: -292174.319 eV
Kohn-Sham gap (spin up / spin down): 6.350 / 6.349 eV
M: 826.94 u
ΔE to the lowest compared entry with this formula, charge and spin: 2.4207 eV

---

3.
# C7H6BrFOS

A cluster of 2 separate species, C7H6BrFOS in total (ωB97M-V/def2-TZVPD, OMol25).

```
! wB97M-V def2-TZVPD RIJCOSX def2/J DEFGRID3
* xyz 0 1
C -0.726 -0.192 -1.483
C -1.614 0.167 -0.468
C 0.593 -0.538 -1.290
C -1.067 0.262 0.781
C 1.134 -0.450 0.003
C 0.279 -0.039 1.109
C 1.592 2.026 2.422
O 0.721 0.001 2.296
F 2.685 1.652 3.048
S 0.551 2.906 3.623
Br 1.726 2.556 0.694
H -1.305 -0.417 -2.458
H -2.638 0.297 -0.724
H 1.214 -0.796 -2.130
H -1.509 0.842 1.607
H 2.096 -0.820 0.294
H -0.240 3.468 2.631
*
```

## Properties
HOMO level (spin up / spin down): -7.8 / -7.8 eV
Calculated total energy: -92995.348 eV
Kohn-Sham gap (spin up / spin down): 6.696 / 6.638 eV
M: 237.09 u
ΔE to the lowest compared entry with this formula, charge and spin: 0.3003 eV

=====

# 1
# BaH14O7

A molecular structure, BaH14O7 (ωB97M-V/def2-TZVPD, the Open Molecules 2025 dataset).

Geometry as XYZ: